Friday, August 29, 2014

Nolan's birth story - Part 1

It still surprises me that our sweet Nolan is already 6 weeks old, and technically I should still be pregnant! I thought for sure that I would have him close to his due date in September, but God had other plans!  Even though his arrival surprised us, my birth experience was so much better than I could have imagined.

On Tuesday, July 15, I woke up around 3:30 in the morning with some serious cramps. The day before had been a relatively normal day, with the exception that I had been to the vet with Maddie, and had to schedule her for surgery the next day. (She had pyrometra, an infection in her uterus.)  So, when I awoke at 3:30 am with cramps, I assumed that the culprit was stress, and that I needed to drink some water and relax. I took a long bath, and after an hour the bath turned into a shower, and yet the cramping continued. Around 5:30 am, I finally decided to call the OB ward at St Joseph-London. When I explained my symptoms, they told me I should come in and get checked. But the stubborn side of me still wasn't
convinced that the cramping was anything more than stress and dehydration. I didn't want to be one of those women who run to the hospital for every little pain.  So, I drank some more water and continued watching the 'Biggest Loser' on Hulu for another 30 or so minutes. Eventually, I went to the bathroom only to notice a tiny amount of blood, a undeniable ticket to the hospital. So, I woke Jake up and off we went. We still had not called our parents, because we "assumed" it was nothing.  After all, I was only 32 weeks, and all of the normal labor signs hadn't occurred. 

When we arrived at the hospital, we were quickly met by a sweet nurse named Emily. She started an IV, and got me somewhat settled into a bed. At the end of what seemed 200 questions, she checked me to see if I happened to be dilated. We were all shocked to discover that I was dilated to a 2, and 100% effaced! My doctor was out of town, so I saw one of the doctors on call who arrived within a few minutes of the nurses assessment.  She quickly confirmed what Emily had told us, and without hesitation said that they would be sending me to UKMC for preterm labor. To say that Jake and I were shocked is an understatement. I didn't have a bag packed, I didn't have all my freezer meals made, and all I could think was, "I have 20 pounds of peaches sitting on my counter to be canned today?!" I had never been in the hospital before, and now I was hooked up to an IV, had a catheter placed, and was being transported via an ambulance.  WHAT?

Records of molecules from another source follow:
'''
C35H87InN6O16V | the ωB97M-V functional and the def2-TZVPD basis

```
146
Properties=species:S:1:pos:R:3:forces:R:3
O -2.6429 -1.5464 5.9367 1.533 0.633 -2.089
V -2.0385 -1.4784 4.4491 -3.611 -2.933 -1.386
O -2.1951 -2.9700 3.8627 0.645 2.539 1.466
In 0.5907 2.8025 3.5083 0.336 0.153 -1.541
O -1.6228 -0.3671 0.2284 0.099 -0.286 0.757
C -1.2981 0.0878 1.4555 0.322 0.908 1.535
O -0.9529 1.2766 1.6266 -0.097 -0.351 -0.381
O -1.3887 -0.7830 2.3911 0.058 -0.001 0.809
H -1.8780 -1.2862 0.4634 -0.150 0.231 -0.701
C -0.2631 4.1207 -7.7167 -0.168 0.205 -0.758
O -1.0846 3.5553 -6.7074 0.364 -0.127 0.227
C -0.7299 2.2065 -6.5193 0.317 -0.657 -0.189
C -1.4186 1.6308 -5.3003 -0.416 -0.060 -0.365
N -1.0005 2.2871 -4.0806 -0.857 0.553 -0.169
C -1.6907 1.9138 -2.8643 -0.345 -0.167 -0.541
C -1.3232 2.9231 -1.7774 0.303 -1.317 0.291
O -1.6137 4.2471 -2.1418 -0.126 -0.068 0.176
C -3.0075 4.4918 -2.1648 -0.581 1.506 0.953
H -0.4418 3.6722 -8.7041 -0.051 -0.326 0.237
H 0.7977 3.9937 -7.4858 0.003 0.153 0.124
H -0.5163 5.1681 -7.8683 0.037 0.045 0.493
H 0.3551 2.0704 -6.4179 0.093 0.313 0.097
H -1.0041 1.6196 -7.4037 -0.162 -0.052 0.030
H -1.2684 0.5554 -5.2108 0.337 -0.110 -0.114
H -2.4982 1.7259 -5.5116 -0.101 0.218 0.423
H -1.1386 3.2935 -4.2135 0.455 -0.108 0.013
H -1.5137 0.8578 -2.6308 0.612 0.187 0.396
H -2.7854 1.8714 -3.0144 -0.040 0.442 -0.058
H -0.2500 2.8356 -1.5984 0.038 0.376 -0.311
H -1.7823 2.6014 -0.8332 -0.358 0.255 -0.052
H -3.1991 5.5642 -2.2915 0.524 -0.162 -0.910
H -3.4591 4.4414 -1.1593 0.131 -1.091 -0.094
H -3.5411 3.9122 -2.9112 -0.091 -0.063 0.038
C -2.4912 5.2134 3.7975 0.171 0.019 -0.063
O -1.8102 4.3029 2.9401 0.286 -1.284 0.972
C -1.9336 4.4457 1.5569 0.388 0.927 -0.360
C -0.6570 5.1469 1.0892 -0.423 -0.564 -0.016
N 0.4710 4.1908 1.1442 0.300 0.651 -0.799
C 1.7776 4.8517 0.8603 0.292 0.248 0.519
C 2.0255 5.0306 -0.6388 -0.662 0.310 0.677
O 1.9057 3.8150 -1.3298 -0.054 0.183 0.072
C 1.8271 4.1302 -2.7097 -0.063 -0.432 -0.721
H -2.2973 6.2584 3.5480 -0.099 -0.004 -0.247
H -2.0732 5.0504 4.7880 -0.219 -0.073 0.099
H -3.5561 4.9882 3.7792 -0.078 0.182 0.099
H -2.8100 5.0483 1.2981 0.036 -0.010 0.048
H -2.0023 3.4802 1.0525 -0.132 -0.133 0.405
H -0.4482 5.9620 1.7788 0.017 0.249 -0.226
H -0.8616 5.4891 0.0687 0.443 0.185 -0.042
H 0.3683 3.6126 0.3016 -0.235 -0.646 0.732
H 2.5705 4.2921 1.3622 -0.150 0.070 -0.304
H 1.7388 5.8515 1.2948 0.157 0.020 0.084
H 2.9810 5.5107 -0.8561 0.185 0.009 0.252
H 1.2403 5.7220 -0.9664 0.014 0.066 -0.307
H 1.8195 3.2095 -3.2904 0.122 -0.135 0.146
H 2.6845 4.7338 -3.0089 0.037 0.059 -0.072
H 0.8999 4.6529 -2.9600 0.005 0.188 0.204
C 1.5401 1.2530 0.0725 -0.667 -0.613 -0.034
O 2.1261 1.9299 1.1707 -0.028 0.015 0.155
C 3.3491 1.3284 1.5364 0.632 -0.540 -0.161
C 4.1006 2.2108 2.4918 -0.692 0.673 0.299
N 3.4092 2.2857 3.7936 0.246 -0.013 0.317
C 3.9783 3.3514 4.6473 0.873 -0.625 -0.211
C 3.3262 3.3551 5.9956 -2.014 0.720 -0.243
O 1.9127 3.6168 5.7603 -0.117 0.151 -0.635
C 1.1430 3.6612 6.9555 -0.318 -0.106 -0.091
'''

While they were prepping me to be transferred, Jake's Dad Moe, and I had to figure out how we were going to get Maddie to the vet, and back. It was imperative that she had the surgery that day, because we didn't want the infection to spread, or get worse. I was heartbroken that I couldn't be there for my little princess. I knew she would be scared, but my brother n law Caleb took excellent care of her. He made sure to give her lots of love, and she sailed through the procedure without complication.

Of course, the one day in my 31 years on this planet that I would need EMS transport, is also the day that I-75 was closed due to a hazardous chemical spill. So a drive that would normally take an hour, took over 2 hours traveling back roads at an alarmingly fast speed with lights, and sirens roaring the entire time. When we left the hospital, my contractions were 2-3 minutes apart, and varied in intensity. They had started me on a medication called Magnesium Sulfate to help stop the contractions, and the bolus of medicine instantly made me feel flush and hot. That combined with the pain from the contractions made for a miserable ride.  Emily, the nurse accompanied the all female EMS crew. They were so kind as we drove along, telling me stories about their own childbirth experiences, and trying to take my mind off what was actually happening. After a while, I inquired as to whether they always drive with lights, and sirens, and was told that they didn't want me to have a baby in the back of an about putting things in perspective. Thankfully, the medicine started doing it's job, and by the time we arrived at UK my contractions has slowed down to one every 10 minutes or so.

A very tired, and somewhat medicated selfie
When we finally arrived at UK, it was so awkward being pushing through the hospital. I'm used to being on the employee side of healthcare, and this was a totally new experience. We finally arrived at the OB ward, and as soon as we turned the corner to the triage area, there stood my Mom asking if I had arrived. It was a relief to see her, and I had to laugh at the impeccable timing. Not long after we arrived, Jake and his Dad, my Dad, and Kally all arrived. Jake's Mom was on vacation in the Dominican Republic, and was beside herself to get home. I definitely felt loved having so many people there! At first they didn't have a labor and delivery room available. So, while we were waiting, they had us in the triage area that was the equivalent size of a broom closet. I was only allowed 1 visitor at a time, so it was a constant stream of family going in and out. What stands out the most, was Kally and I laughing uncontrollably about lots of random things. We kept joking that they were going to kick me out, because I was laughing to much to "be in labor."

Where all the medicine action happened
Finally, our amazing nurse Mollee came and took us back to our labor and delivery room. It felt like a palace compared to the broom closet we had been in. Then we settled in for the long haul. They told me early on, that I would be in the hospital until I had him, because my "bag of water" was bulging, and could be felt when they checked me. Our goal was for me to hold off going into labor for 48 hours, mostly so I could have two rounds of steroids to help Nolan's lungs develop. So, I spent the day in bed hooked up to an IV of constant medicine that made me feel increasingly "loopy," as the day progressed. That evening we were blessed with so many awesome visitors...Dave and Kayla, Jon and Joe, Dustin and Rebecca, and of course our family camped out for the long haul. 
The view from my L &D room.
The next day, was basically a repeat of the first, except they took me off the Magnesium sulfate. I was finally able to eat, but was still mostly confined to my bed. Throughout the day, I would have a random contraction here and there, but the medicine had done it's job, and my labor had stopped. I was hopeful that I might be able to make it a few days before my water broke, but oh man was I wrong.

At 2:00 am on July 17, I was asleep, and woke up just enough to roll over in bed and think, "Oh man, that was a strong contraction," then BAM my water broke. It was undeniable, and in abundance. Jake was asleep in the recliner next to my bed, and the room was dark and quiet. I laid there for a few minutes taking in the fact that I would have a baby that day. And said a huge prayer of protection for Nolan and I. Overall, I wasn't nervous at all, just preparing myself for what was to come. I woke Jake up, who immediately set to pacing the floor, and calling our parents. It was go time!

More tomorrow!

Sunday, August 17, 2014

The first month learning curve....

In honor of Nolan being a month old, I thought I'd write a list of all the new things I've learned, and a few I'm still learning...

1. How to do almost anything 1 handed....including, but not limited to, eating, changing out laundry, cooking, opening mail, you name it. I'm excited to start using our new Boba wrap to be more hands free! 

2. How to walk across our bedroom floor without causing the hardwood to creak. It's true that Nolan isn't bothered by most noise, but I think trying to tip-toe around a sleeping baby is innate. 

3. Pumping while...feeding the baby, rocking the baby, sleeping sitting up, blow drying my hair, putting makeup on, and surfing the internet (Ha!) 

4. How to quickly eat breakfast, brush my teeth, and pump before the baby wakes up. I call this a trifecta, and it makes me super happy. 

5. How to enjoy even an hour of quality, no interruption sleep. So rare, but so glorious. Thanks to my hubby Jake this usually happens for a few hours every night. He takes the first part of the night shift while I sleep. So appreciative!

Now, for fun...some things I have yet to master.....

1. How to keep my house somewhat organized. I swear the living room can go from clean, to having baby crap everywhere in no time. Dirty baby clothes (I swear he only spits up when I put clean clothes on him), blankets, bottles, binkies, and general clutter all over the place! Aahh! (So thankful for my Mama visiting and helping me get back on track!)

2. How to protect myself from being umm..."showered" during diaper changes. Just when I think it's safe....BAM, he gets me. Hilarious, and accurate everytime.

3. How to get back into a cooking routine. Pre-baby I always enjoyed cooking meals from scratch. Post baby, I'll happily settle for grilled chicken from Bojangles. We've eaten there an alarming number of times in the last two weeks. (Including tonight.)

4. How to keep myself hydrated. I swear I drink a gallon of water a day. Breastfeeding makes you thirsty! More thirsty than you've ever been every. single. day!  Thank goodness for my hydro flask! 

5. How to keep myself from pulling my hair back into a "crack Mom" pony tail every single day. I'm sure my hubby loves coming home to that! Hahaha. :P

This last month has been one of the best months of my life. Adjusting to our new normal has definitely been challanging at times, but it's also been the most rewarding experience of my life. Just seeing my little peanut look up at me, smile with that gummy grin, or grab my finger instantly makes everything worth while. I've said so many prayers of gratitude in the last month. Being a parent rocks my socks off! 

PS...I promise Nolan's birth story is coming next. Stay tuned!